Advection fog” forms when relatively warm air moves over a colder surface (for example: a body of , -covered ground, etc.) and the interaction between the two results in the air becoming saturated. The term “advection” just means that the fog formed due to an being transported by the . A popular example of this type of fog is the fog that is often seen enveloping the San Francisco Bay area. Moist, relatively warm air from the Pacific meets the relatively colder air along the coast. This warm, moist air cools to its dewpoint, saturates, and results in the formation of fog that moves onshore.

• Misplaced quantum chemistry results:
____________
A molecular structure, C54H41AsCl2N4O8S2W in a non-equilibrium geometry. Source: the Open Molecules 2025 dataset; level of theory: ωB97M-V/def2-TZVPD.

Properties
Strongest force on any atom: 0.02279 hartree/bohr
LUMO level: -7.6 eV
Total charge: +2
Energy relative to the best compared isomer or geometry (same formula, charge and spin): 130.6 kJ/mol
Orbital gap: 4.719 eV
Spin multiplicity: 1
HOMO level: -12.327 eV

Element x y z (Å)
W: -0.95 1.34 0.31
C: 6.26 -4.40 -3.00
O: 4.91 -4.37 -2.53
C: 4.72 -4.29 -1.20
C: 5.73 -4.22 -0.25
C: 5.39 -4.15 1.09
C: 4.06 -4.10 1.50
C: 3.05 -4.23 0.54
C: 3.38 -4.33 -0.79
N: 3.91 -3.97 2.91
N: 2.97 -3.40 3.48
C: 1.92 -2.71 2.77
C: 0.61 -3.02 3.04
C: -0.45 -2.28 2.48
C: -0.15 -1.23 1.65
O: -1.08 -0.41 1.09
C: 1.18 -0.91 1.35
N: 1.33 0.12 0.49
C: 2.55 0.58 0.28
C: 3.68 0.02 0.90
C: 3.53 -1.07 1.71
C: 2.24 -1.59 1.95
H: 6.19 -4.43 -4.08
H: 6.77 -5.30 -2.64
H: 6.81 -3.51 -2.69
H: 6.77 -4.25 -0.53
H: 6.16 -4.12 1.85
H: 2.01 -4.32 0.83
H: 2.61 -4.47 -1.54
H: 0.40 -3.85 3.70
H: -1.48 -2.52 2.72
H: 2.65 1.41 -0.41
H: 4.65 0.46 0.71
H: 4.39 -1.51 2.20
Cl: 2.09 3.91 -4.59
C: 2.07 2.37 -3.82
C: 3.09 1.46 -4.03
C: 3.01 0.24 -3.37
C: 1.92 -0.02 -2.56
N: 0.92 0.86 -2.37
C: 1.01 2.03 -3.00
H: 3.93 1.70 -4.67
H: 3.78 -0.51 -3.48
H: 1.86 -0.95 -2.01
H: 0.20 2.74 -2.84
C: -0.62 -4.89 -2.15
C: -1.61 -4.55 -1.24
C: -1.93 -3.23 -1.01
C: -1.25 -2.21 -1.68
C: -0.26 -2.55 -2.60
C: 0.05 -3.88 -2.84
As: -1.91 -0.39 -1.55
C: -3.74 -0.61 -0.97
C: -4.24 -1.07 0.23
C: -5.61 -1.18 0.40
C: -6.47 -0.79 -0.63
C: -5.97 -0.33 -1.83
C: -4.60 -0.25 -2.02
C: -3.94 0.16 -3.28
C: -4.60 0.49 -4.46
C: -3.86 0.81 -5.59
C: -2.47 0.79 -5.57
C: -1.80 0.47 -4.40
C: -2.54 0.17 -3.27
H: -0.39 -5.92 -2.35
H: -2.15 -5.33 -0.71
H: -2.72 -3.01 -0.30
H: 0.23 -1.79 -3.20
H: 0.80 -4.13 -3.58
H: -3.58 -1.36 1.04
H: -6.02 -1.57 1.32
H: -7.54 -0.87 -0.49
H: -6.65 -0.04 -2.62
H: -5.68 0.49 -4.51
H: -4.38 1.06 -6.51
H: -1.92 1.02 -6.47
H: -0.72 0.44 -4.40
Cl: 3.76 7.62 2.99
C: 2.95 6.20 2.46
C: 2.81 5.97 1.10
C: 2.14 4.85 0.67
C: 1.62 3.96 1.62
C: 1.77 4.19 2.99
C: 2.44 5.32 3.42
C: 0.85 2.83 1.19
O: 0.32 1.96 1.94
O: 0.56 2.59 -0.07
H: 3.22 6.68 0.39
H: 1.99 4.66 -0.38
H: 1.36 3.50 3.71
H: 2.57 5.53 4.47
C: -4.85 1.96 2.07
C: -3.43 1.65 2.36
O: -2.78 1.19 1.38
C: -2.83 1.86 3.66
C: -3.44 2.71 4.59
C: -2.86 2.91 5.83
C: -1.69 2.25 6.16
C: -1.08 1.39 5.26
C: -1.64 1.20 4.01
H: -5.29 1.09 1.58
H: -4.86 2.78 1.35
H: -5.44 2.22 2.94
H: -4.35 3.25 4.34
H: -3.33 3.58 6.54
H: -1.25 2.40 7.14
H: -0.18 0.86 5.53
H: -1.19 0.52 3.32
O: -1.07 5.05 -0.43
S: -2.11 4.16 -0.03
O: -1.63 3.20 1.08
O: -3.41 4.64 0.27
S: -2.17 2.50 -1.36

C5H7N3 in the gas phase in a non-equilibrium geometry. Source: the Open Molecules 2025 dataset; level of theory: ωB97M-V/def2-TZVPD.

Properties
Strongest force on any atom: 0.07166 hartree/bohr
LUMO level: 0.8 eV
Energy relative to the best compared isomer or geometry (same formula, charge and spin): 286.7 kJ/mol
Orbital gap: 10.013 eV
Spin multiplicity: 1
____________

Advection fog moving onshore into the San Francisco Bay area. Photo source: By Dschwen and Inaglory (Own work) [CC BY-SA 3.0 or GFDL], via Wikimedia Commons.

## Here the piece breaks off for records of molecules
Record 1
C4H6O in the gas phase in a non-equilibrium geometry. Source: the Open Molecules 2025 dataset; level of theory: wB97M-V/def2-TZVPD.

Output
* F_max: 0.0422 Eh/bohr
* SMILES: C#CCCO
* M: 70.091 g mol⁻¹
* HOMO level: -10.197 eV
* calculated total energy: -231.12587 hartree

Structure (ORCA input):
```
! wB97M-V def2-TZVPD RIJCOSX def2/J DEFGRID3
* xyz 0 1
C -2.1495 -0.2349 -0.0042
C -1.1512 0.3898 0.2846
C 0.1418 -0.2627 0.6779
C 1.1433 0.0279 -0.4174
O 1.2357 1.4141 -0.6219
H -2.8924 -0.9644 -0.2052
H -0.0047 -1.3612 0.7525
H 0.4053 0.1020 1.6623
H 0.8310 -0.4951 -1.3430
H 2.1195 -0.3490 -0.1190
H 0.3212 1.7335 -0.6666
*
```

Löwdin atomic charge list, values in e, 4 entries:
1. C 0.134
2. C -0.129
3. C -0.215
4. C -0.297

Record 2
C4H9NO4S in the gas phase in a non-equilibrium geometry. Source: the Open Molecules 2025 dataset; level of theory: wB97M-V/def2-TZVPD.

Output
* F_max: 0.0848 Eh/bohr
* M: 167.186 g mol⁻¹
* HOMO level: -9.381 eV
* calculated total energy: -911.63045 hartree

Structure (ORCA input):
```
! wB97M-V def2-TZVPD RIJCOSX def2/J DEFGRID3
* xyz 0 1
C -0.1465 0.4846 0.4508
C 0.7347 -0.7376 0.6021
C 2.1104 -0.7972 1.1250
C 0.2218 1.2136 -0.7625
N 0.0735 -1.7638 0.2761
O -1.9988 -0.3796 -1.9259
O -3.8309 -0.0761 -0.2773
O -1.5249 0.2923 0.4944
O 1.1223 2.2467 -0.2954
S -2.3001 -0.7638 -0.5655
H 0.0650 1.1141 1.3032
H 2.3847 -1.8923 0.9705
H 1.9278 -0.6714 2.1101
H 2.8902 -0.1252 0.6132
H -0.6453 1.5803 -1.1608
H 0.7688 0.6083 -1.4069
H -4.2506 -0.0136 -1.1533
H 0.4625 -2.6690 0.4126
H 1.9353 2.3500 -0.8102
*
```

Löwdin atomic charge list, values in e, 4 entries:
1. C -0.364
2. C -0.363
3. C -0.004
4. C -0.178

Record 3
A molecular structure, C2H4N2 in a non-equilibrium geometry. Source: the Open Molecules 2025 dataset; level of theory: wB97M-V/def2-TZVPD.

Output
* F_max: 0.0585 Eh/bohr
* M: 56.068 g mol⁻¹
* HOMO level: -11.957 eV
* calculated total energy: -188.01478 hartree

Structure (ORCA input):
```
! wB97M-V def2-TZVPD RIJCOSX def2/J DEFGRID3
* xyz 0 1
C -2.0707 0.6948 -1.7092
C 2.0074 1.9705 -0.4050
N -1.0286 1.1511 -1.8842
N 1.6178 1.1668 -1.1354
H -3.0492 0.4835 -1.4794
H -0.0606 -3.8665 2.8700
H 2.2664 2.6576 0.3096
H 0.3176 -4.2578 3.4335
*
```

Löwdin atomic charge list, values in e, 4 entries:
1. C -0.059
2. C -0.073
3. N 0.054
4. N 0.039

Record 4
12 unconnected molecules or ions with the total composition C34H66FN13O22 in a non-equilibrium geometry. Source: the Open Molecules 2025 dataset; level of theory: wB97M-V/def2-TZVPD.

Output
* F_max: 0.0238 Eh/bohr
* SMILES: CCCCCCCCCCC[C@@H](C#N)[C@](F)(C#N)Cc1cccc(C)c1.C[N+](=O)[O-].C[N+](=O)[O-].C[N+](=O)[O-].C[N+](=O)[O-].C[N+](=O)[O-].C[N+](=O)[O-].C[N+](=O)[O-].C[N+](=O)[O-].C[N+](=O)[O-].C[N+](=O)[O-].C[N+](=O)[O-]
* M: 1027.969 g mol⁻¹
* HOMO level: -9.220 eV
* calculated total energy: -3801.01640 hartree

Structure (ORCA input):
```
! wB97M-V def2-TZVPD RIJCOSX def2/J DEFGRID3
* xyz 0 1
C 9.5700 -1.9717 -0.6370
C 8.8806 -0.6274 -0.9448

Steam Fog “ fog”, also called “ fog”, requires a body of water. It forms when cold air moves over relatively much warmer water. When this occurs, water from the water’s surface evaporates and water is added to the colder air. The cold air then saturates quickly and fog forms.

Upslope Fog “Upslope fog” forms when moist air is forced up the slope of mountainous terrain. As the moist air rises, it cools. Eventually, that moist air reaches its dewpoint, saturates, and fog forms. From the ground below the mountain, the fog may appear like any ordinary . But, when observed from the mountain itself, the cloud would be considered fog, since it is in contact with the ’s surface.

Upslope fog over the Santa Catalina Mountains. Photo by Grant Montgomery/flickr (license) Fog “Valley fog” refers to fog that forms in a valley. At night, air at the top of a mountain or ridge cools faster than air at the bottom. Since cooler air is denser than warmer air, this cooler air sinks down the slope of the mountain/ridge. In a valley, cooler air drains down both sides of the valley, resulting in colder air at the bottom of the valley. This then forms an , which traps the colder air near the ground. If enough moisture is present in the air at the bottom, the air will saturate and fog will form.

The rare fog that fills the Grand Canyon is an example of a valley fog. A recent can increase the moisture within the canyon and contribute to bringing the air to saturation.

### Someone pasted quantum chemistry results at this point
# C61H28AuCl5F15GeNOP2S2

A molecular structure, C61H28AuCl5F15GeNOP2S2 (wB97M-V/def2-TZVPD, the Open Molecules 2025 dataset).

```
117
C61H28AuCl5F15GeNOP2S2 | the Open Molecules 2025 dataset | wB97M-V/def2-TZVPD
C -4.73 3.39 -0.24
F 6.52 -1.23 1.81
C -2.02 1.63 5.10
C -4.33 4.74 1.71
C 2.35 4.77 0.58
H -1.43 5.08 -0.11
S 1.55 0.95 -1.25
C -0.49 0.23 -3.74
F 8.15 3.63 1.64
Au -0.19 0.15 0.21
H 0.08 6.87 -0.78
H -2.91 1.25 5.61
C -3.61 1.31 -2.02
C 4.03 -3.46 4.17
C -2.64 3.19 0.95
F 4.26 0.43 -0.32
S 1.97 0.41 2.05
C 1.50 3.73 0.95
C -0.90 -3.04 3.03
C 5.12 -4.03 3.55
Ge 3.96 0.52 2.79
C -3.66 -4.18 -0.24
C 3.77 -2.12 3.97
C -5.23 1.19 -3.78
C -0.66 -2.17 -3.75
H -4.29 -2.23 -0.88
H 0.16 -3.15 -5.47
O -2.89 1.97 -1.05
C 6.33 2.17 2.03
C -2.59 -5.03 -0.04
C 0.48 6.01 -0.27
F 2.69 -1.61 4.58
Cl -3.56 0.09 1.23
H 3.42 4.66 0.75
C 7.16 2.86 1.17
H -0.07 -2.98 -0.98
H -4.66 5.50 2.42
C -0.37 4.98 0.11
C 0.20 2.65 3.79
C -0.94 2.35 3.06
C -5.00 -0.17 -3.93
H -3.74 -1.81 -3.35
C 3.95 3.41 6.59
H -0.82 1.71 6.88
H -5.96 1.68 -4.41
C -0.89 -0.95 -3.12
F 5.84 1.77 -1.99
C 4.58 -1.31 3.19
H 0.49 1.13 -5.41
C -2.16 -2.47 -1.02
H 1.92 2.82 1.36
F 3.23 -4.21 4.93
N 0.58 3.31 -2.53
C 0.42 -1.02 -5.57
C 5.17 1.24 0.21
C -4.54 1.93 -2.84
C 0.24 2.42 5.16
C -1.14 -1.10 1.58
C 4.20 1.21 5.70
C -3.30 -0.03 -2.22
H 0.95 -1.05 -6.52
C -0.86 1.89 5.82
H 2.51 6.71 -0.31
C 5.95 -3.26 2.76
F 6.58 2.31 3.34
H 1.06 3.09 3.30
F 7.78 3.39 -1.03
F 3.95 4.24 7.63
Cl 0.06 -4.34 3.61
F 3.50 5.19 5.14
F 5.38 -5.33 3.72
C 3.76 3.01 4.26
H -0.70 1.18 -3.27
Cl -4.65 -1.75 3.44
C -1.08 -3.33 -0.80
C 5.99 1.91 -0.68
H -2.76 -6.03 0.35
H -5.55 -0.75 -4.66
C -5.15 4.34 0.68
Cl -2.82 -3.92 4.72
Cl 1.13 -2.58 1.36
F 3.56 3.53 3.04
C 6.98 2.74 -0.19
H -5.41 3.08 -1.01
C -4.00 -0.77 -3.18
C 3.98 1.65 4.41
H -2.44 4.43 2.68
C 5.67 -1.92 2.59
C -2.47 -1.03 1.98
C 3.73 3.89 5.32
C -2.06 1.85 3.74
C 1.84 5.91 -0.02
C -2.20 -2.88 3.51
H 1.14 2.65 5.71
C 0.17 0.20 -4.95
C -0.39 -2.17 2.07
F 4.46 -0.08 5.96
C 5.29 1.37 1.59
C -3.45 2.85 -0.14
H -4.67 -4.51 -0.02
P -0.98 2.47 1.22
P -1.78 -0.76 -1.53
C 4.19 2.06 6.79
C 0.12 3.85 0.76
C 0.97 2.36 -1.98
H -6.14 4.76 0.57
C -3.45 -2.90 -0.73
F 4.41 1.60 8.02
C -1.30 -4.61 -0.33
C -3.09 4.15 1.85
C -3.00 -1.89 2.95
H -2.98 1.67 3.21
H -0.98 -3.10 -3.30
C -0.01 -2.20 -4.98
F 7.01 -3.83 2.17
H -0.46 -5.27 -0.17
H -4.69 3.00 -2.80
```

Output
Gap between HOMO and LUMO ... 0.195 hartree
Energy above the lowest of the compared OMol25 structures with the same formula, charge and spin ... 34.9 kJ/mol
Net charge ... 0
HOMO level ... -0.2939 Ha
DFT total energy ... -271077.429 eV

Mulliken atomic charge list, values in e, 6 entries: number 1, C, carries -1.48; number 2, F, carries -0.31; number 3, C, carries -0.85; number 4, C, carries -0.98; number 5, C, carries -1.06; number 6, H, carries 0.34



# C61H37Cl4N8Ti

A molecular structure, C61H37Cl4N8Ti (wB97M-V/def2-TZVPD, the Open Molecules 2025 dataset).

```
111
### The piece goes on

Hail Fog “ fog” is a localized type of fog that can form when a significant amount of hail from a accumulates on the ground. As the hail melts and the meltwater evaporates, it cools the air right above it and adds moisture to the air. If the air is already moist, a shallow layer of fog may form.